Brief:
The reader should set down everything below without additions.
Contents:
____________
Computed, not measured: a geometry-optimized Ir2Rh3 structure at the GGA-PBE level of DFT.

Unit cell a=4.2482 b=4.2482 c=5.2299 alpha=90.00 beta=90.00 gamma=120.00
Closest atoms and distances in Å follow each position.
Space group P-3m1 (No. 164)
Unique sites:
Ir1 0.3333 0.6667 0.3684 (multiplicity 2)  8 Rh 2.55-2.77, 3 Ir 2.81
Rh1 0.0000 0.0000 0.5000 (multiplicity 1)  6 Ir 2.55
Rh2 0.3333 0.6667 0.8776 (multiplicity 2)  5 Ir 2.57-2.77, 3 Rh 2.77

Values from the calculation:
Energy relative to the lowest polymorph listed for this composition   518 meV/atom



Computed, not measured: a geometry-optimized Ir5Rh4 structure at the GGA-PBE level of DFT.

Unit cell a=7.5639 b=7.5639 c=5.3673 alpha=90.00 beta=90.00 gamma=120.00
Closest atoms and distances in Å follow each position.
Space group P6_3/mcm (No. 193)
Unique sites:
Ir1 0.0000 0.3352 0.2500 (multiplicity 6)  5 Rh 2.52-2.68
Ir2 0.3333 0.6667 0.0000 (multiplicity 4)  8 Ir 2.68-2.85, 6 Rh 2.86
Rh1 0.0000 0.0000 0.0000 (multiplicity 2)  8 Rh 2.68-2.85, 6 Ir 2.87
Rh2 0.0000 0.3319 0.7500 (multiplicity 6)  5 Ir 2.52-2.68

Values from the calculation:
Energy relative to the lowest polymorph listed for this composition   311 meV/atom



Computed, not measured: a geometry-optimized Ir3Rh structure at the GGA-PBE level of DFT.

Unit cell a=4.7519 b=4.7519 c=4.7519 alpha=90.00 beta=90.00 gamma=90.00
Closest atoms and distances in Å follow each position.
Space group Pm-3m (No. 221)
Unique sites:
Ir1 0.0000 0.0000 0.5000 (multiplicity 3)  2 Rh 2.38
Rh1 0.0000 0.0000 0.0000 (multiplicity 1)  6 Ir 2.38



Computed, not measured: a geometry-optimized IrRh4 structure at the GGA-PBE level of DFT.

Unit cell a=3.5388 b=3.5388 c=12.5230 alpha=90.00 beta=90.00 gamma=90.00
Closest atoms and distances in Å follow each position.
Space group I4/mmm (No. 139)
Unique sites:
Ir1 0.0000 0.0000 0.0000 (multiplicity 2)  8 Rh 2.78
Rh1 0.0000 0.0000 0.4028 (multiplicity 4)  5 Rh 2.43-2.61
Rh2 0.0000 0.5000 0.2500 (multiplicity 4)  8 Rh 2.50-2.61

Values from the calculation:
Energy relative to the lowest polymorph listed for this composition   563 meV/atom



Computed, not measured: a geometry-optimized Ir5Rh3 structure at the GGA-PBE level of DFT.

Unit cell a=10.4467 b=9.4778 c=5.2147 alpha=90.00 beta=116.45 gamma=90.00
Closest atoms and distances in Å follow each position.
Space group C2/c (No. 15)
Unique sites:
Ir1 0.0000 0.0426 0.2500 (multiplicity 4)  4 Rh 2.71-2.75, 8 Ir 2.73
Ir2 0.1252 0.2920 0.4960 (multiplicity 8)  6 Ir 2.69-2.75, 6 Rh 2.70-2.76
Ir3 0.2492 0.0415 0.7446 (multiplicity 8)  7 Ir 2.69-2.75, 5 Rh 2.72-2.77
Rh1 0.0000 0.4583 0.7500 (multiplicity 4)  8 Ir 2.72-2.77, 4 Rh 2.72-2.75
Rh2 0.1257 0.2079 0.0023 (multiplicity 8)  9 Ir 2.70-2.76, 3 Rh 2.73-2.77

Values from the calculation:
Energy relative to the lowest polymorph listed for this composition   50 meV/atom



Computed, not measured: a geometry-optimized Ir8Rh structure at the GGA-PBE level of DFT.

Unit cell a=8.2157 b=8.2157 c=3.8648 alpha=90.00 beta=90.00 gamma=90.00
Closest atoms and distances in Å follow each position.
Space group I4/mmm (No. 139)
Unique sites:
Ir1 0.0000 0.3339 0.0000 (multiplicity 8)  11 Ir 2.73-2.74, 1 Rh 2.74
Ir2 0.1676 0.1676 0.5000 (multiplicity 8)  10 Ir 2.72-2.75, 2 Rh 2.74
Rh1 0.0000 0.0000 0.0000 (multiplicity 2)  12 Ir 2.74

Values from the calculation:
Energy relative to the lowest polymorph listed for this composition   0 meV/atom



Computed, not measured: a geometry-optimized Ir3Rh structure at the GGA-PBE level of DFT.

Unit cell a=7.3635 b=7.3659 c=4.5951 alpha=90.00 beta=90.00 gamma=90.00
Closest atoms and distances in Å follow each position.
Space group Cmcm (No. 63)
Unique sites:
Ir1 0.0000 0.0839 0.2500 (multiplicity 4)  1 Rh 2.53, 6 Ir 2.61-2.73
Ir2 0.1725 0.2418 0.7500 (multiplicity 8)  5 Ir 2.54-2.73, 2 Rh 2.72-2.75
Rh1 0.0000 0.4277 0.2500 (multiplicity 4)  5 Ir 2.53-2.75, 2 Rh 2.53



Computed, not measured: a geometry-optimized IrRh4 structure at the GGA-PBE level of DFT.
____________
Done:
Computed, not measured: a geometry-optimized Ir2Rh3 structure at the GGA-PBE level of DFT.

Unit cell a=4.2482 b=4.2482 c=5.2299 alpha=90.00 beta=90.00 gamma=120.00
Closest atoms and distances in Å follow each position.
Space group P-3m1 (No. 164)
Unique sites:
Ir1 0.3333 0.6667 0.3684 (multiplicity 2)  8 Rh 2.55-2.77, 3 Ir 2.81
Rh1 0.0000 0.0000 0.5000 (multiplicity 1)  6 Ir 2.55
Rh2 0.3333 0.6667 0.8776 (multiplicity 2)  5 Ir 2.57-2.77, 3 Rh 2.77

Values from the calculation:
Energy relative to the lowest polymorph listed for this composition   518 meV/atom



Computed, not measured: a geometry-optimized Ir5Rh4 structure at the GGA-PBE level of DFT.

Unit cell a=7.5639 b=7.5639 c=5.3673 alpha=90.00 beta=90.00 gamma=120.00
Closest atoms and distances in Å follow each position.
Space group P6_3/mcm (No. 193)
Unique sites:
Ir1 0.0000 0.3352 0.2500 (multiplicity 6)  5 Rh 2.52-2.68
Ir2 0.3333 0.6667 0.0000 (multiplicity 4)  8 Ir 2.68-2.85, 6 Rh 2.86
Rh1 0.0000 0.0000 0.0000 (multiplicity 2)  8 Rh 2.68-2.85, 6 Ir 2.87
Rh2 0.0000 0.3319 0.7500 (multiplicity 6)  5 Ir 2.52-2.68

Values from the calculation:
Energy relative to the lowest polymorph listed for this composition   311 meV/atom



Computed, not measured: a geometry-optimized Ir3Rh structure at the GGA-PBE level of DFT.

Unit cell a=4.7519 b=4.7519 c=4.7519 alpha=90.00 beta=90.00 gamma=90.00
Closest atoms and distances in Å follow each position.
Space group Pm-3m (No. 221)
Unique sites:
Ir1 0.0000 0.0000 0.5000 (multiplicity 3)  2 Rh 2.38
Rh1 0.0000 0.0000 0.0000 (multiplicity 1)  6 Ir 2.38



Computed, not measured: a geometry-optimized IrRh4 structure at the GGA-PBE level of DFT.

Unit cell a=3.5388 b=3.5388 c=12.5230 alpha=90.00 beta=90.00 gamma=90.00
Closest atoms and distances in Å follow each position.
Space group I4/mmm (No. 139)
Unique sites:
Ir1 0.0000 0.0000 0.0000 (multiplicity 2)  8 Rh 2.78
Rh1 0.0000 0.0000 0.4028 (multiplicity 4)  5 Rh 2.43-2.61
Rh2 0.0000 0.5000 0.2500 (multiplicity 4)  8 Rh 2.50-2.61

Values from the calculation:
Energy relative to the lowest polymorph listed for this composition   563 meV/atom



Computed, not measured: a geometry-optimized Ir5Rh3 structure at the GGA-PBE level of DFT.

Unit cell a=10.4467 b=9.4778 c=5.2147 alpha=90.00 beta=116.45 gamma=90.00
Closest atoms and distances in Å follow each position.
Space group C2/c (No. 15)
Unique sites:
Ir1 0.0000 0.0426 0.2500 (multiplicity 4)  4 Rh 2.71-2.75, 8 Ir 2.73
Ir2 0.1252 0.2920 0.4960 (multiplicity 8)  6 Ir 2.69-2.75, 6 Rh 2.70-2.76
Ir3 0.2492 0.0415 0.7446 (multiplicity 8)  7 Ir 2.69-2.75, 5 Rh 2.72-2.77
Rh1 0.0000 0.4583 0.7500 (multiplicity 4)  8 Ir 2.72-2.77, 4 Rh 2.72-2.75
Rh2 0.1257 0.2079 0.0023 (multiplicity 8)  9 Ir 2.70-2.76, 3 Rh 2.73-2.77

Values from the calculation:
Energy relative to the lowest polymorph listed for this composition   50 meV/atom



Computed, not measured: a geometry-optimized Ir8Rh structure at the GGA-PBE level of DFT.

Unit cell a=8.2157 b=8.2157 c=3.8648 alpha=90.00 beta=90.00 gamma=90.00
Closest atoms and distances in Å follow each position.
Space group I4/mmm (No. 139)
Unique sites:
Ir1 0.0000 0.3339 0.0000 (multiplicity 8)  11 Ir 2.73-2.74, 1 Rh 2.74
Ir2 0.1676 0.1676 0.5000 (multiplicity 8)  10 Ir 2.72-2.75, 2 Rh 2.74
Rh1 0.0000 0.0000 0.0000 (multiplicity 2)  12 Ir 2.74

Values from the calculation:
Energy relative to the lowest polymorph listed for this composition   0 meV/atom



Computed, not measured: a geometry-optimized Ir3Rh structure at the GGA-PBE level of DFT.

Unit cell a=7.3635 b=7.3659 c=4.5951 alpha=90.00 beta=90.00 gamma=90.00
Closest atoms and distances in Å follow each position.
Space group Cmcm (No. 63)
Unique sites:
Ir1 0.0000 0.0839 0.2500 (multiplicity 4)  1 Rh 2.53, 6 Ir 2.61-2.73
Ir2 0.1725 0.2418 0.7500 (multiplicity 8)  5 Ir 2.54-2.73, 2 Rh 2.72-2.75
Rh1 0.0000 0.4277 0.2500 (multiplicity 4)  5 Ir 2.53-2.75, 2 Rh 2.53



Computed, not measured: a geometry-optimized IrRh4 structure at the GGA-PBE level of DFT.